• Source:
/*
(1)
Here is a relaxed structure of Tb2Al9Ir3 from the Materials Project database. Energies are from r2SCAN.

a = 12.975 Å, b = 7.571 Å, c = 9.447 Å
α = 90.00°, β = 90.00°, γ = 90.00°
Space group Cmcm (No. 63)
One atom of each set of equivalent atoms:
Tb1 0.162 0.167 0.250
Al1 0.000 0.130 0.750
Al2 0.000 0.334 0.050
Al3 0.104 0.443 0.750
Al4 0.167 0.169 0.573
Ir1 0.000 0.000 0.000
Ir2 0.172 0.500 0.000

---

(2)
Here is a relaxed structure of Tm2Al9Ir3 from the Materials Project database. Energies are from r2SCAN.

a = 12.922 Å, b = 7.536 Å, c = 9.374 Å
α = 90.00°, β = 90.00°, γ = 90.00°
Space group Cmcm (No. 63)
One atom of each set of equivalent atoms:
Tm1 0.161 0.166 0.250
Al1 0.000 0.130 0.750
Al2 0.000 0.333 0.052
Al3 0.105 0.444 0.750
Al4 0.167 0.168 0.575
Ir1 0.000 0.000 0.000
Ir2 0.172 0.500 0.000

---

no.,electronic total energy (eV per formula unit)
1,-293.65
2,-301.26

~~~~~

No. 1
! PBE+U Li5Co3O8, optimized geometry; values from VASP
! calculated density: 4.0 g cm⁻³
! total magnetic moment: 2.000 μB per formula unit
! volume: 141.0 Å³/cell
! energy relative to the lowest polymorph listed for this composition: 0.055 eV per atom
! energy of formation from the pure elements: -1.679 eV/atom
! MP2020-corrected energy: -97.31 eV/cell
&SYSTEM
  ibrav = 0, nat = 16, ntyp = 3
/
ATOMIC_SPECIES
Li 6.94 Li.upf
Co 58.93 Co.upf
O 16.00 O.upf
ATOMIC_POSITIONS angstrom
Li 0.000 0.000 0.000
Li 1.618 0.000 3.587
Li 0.630 0.000 8.401
Li 7.053 0.000 1.210
Li 6.065 0.000 6.025
Co -1.074 0.000 4.806
Co 4.387 0.000 2.298
Co 3.296 0.000 7.313
O 0.691 0.000 1.841
O -0.327 0.000 6.544
O 3.570 0.000 0.773
O 2.597 0.000 5.518
O 5.086 0.000 4.094
O 4.113 0.000 8.838
O 8.011 0.000 3.067
O 6.992 0.000 7.771
CELL_PARAMETERS angstrom
4.916 -1.492 0.000
4.916 1.492 0.000
-2.149 0.000 9.611

No. 2
! PBE+U Li5Mn3O8, optimized geometry; values from VASP
! calculated density: 3.8 g cm⁻³
! total magnetic moment: 10.000 μB per formula unit
! volume: 142.6 Å³/cell
! energy relative to the lowest polymorph listed for this composition: 0.007 eV per atom
! energy of formation from the pure elements: -2.143 eV/atom
! MP2020-corrected energy: -110.91 eV/cell
&SYSTEM
  ibrav = 0, nat = 16, ntyp = 3
/
ATOMIC_SPECIES
Li 6.94 Li.upf
Mn 54.94 Mn.upf
O 16.00 O.upf
ATOMIC_POSITIONS angstrom
Li 0.000 0.000 0.000
Li 4.122 4.826 1.218
Li 3.305 1.996 1.274
Li 5.006 6.062 3.826
Li 4.189 3.232 3.883
Mn 0.805 1.263 2.550
Mn 0.824 2.766 0.000
Mn 1.628 4.029 2.550
O 2.351 3.741 0.759
O 1.569 1.106 0.752
O 2.344 2.308 3.117
O 3.206 5.067 3.042
O 5.105 2.991 2.058
O 5.967 5.750 1.983
O 6.742 6.952 4.348
O 5.961 4.317 4.342
CELL_PARAMETERS angstrom
5.054 0.000 0.000
1.647 5.532 0.000
1.610 2.526 5.100

No. 3
! PBE+U MgV2O4, optimized geometry; values from VASP
! calculated density: 4.0 g cm⁻³
! total magnetic moment: 4.000 μB per formula unit
! volume: 316.6 Å³/cell
! energy relative to the lowest polymorph listed for this composition: 0.123 eV per atom
! energy of formation from the pure elements: -2.583 eV/atom
! MP2020-corrected energy: -230.57 eV/cell
&SYSTEM
  ibrav = 0, nat = 28, ntyp = 3
/
ATOMIC_SPECIES
Mg 24.30 Mg.upf
V 50.94 V.upf
O 16.00 O.upf
ATOMIC_POSITIONS angstrom
Mg 1.482 2.579 0.048
Mg 1.482 7.736 1.757
Mg 4.447 2.579 3.419
Mg 4.447 7.736 5.128
V 0.000 0.000 2.588
V 0.000 5.157 2.588
V 1.482 5.307 5.112
V 1.482 10.165 5.112
V 2.965 0.000 2.588
V 2.965 5.157 2.588
V 4.447 0.149 0.064
V 4.447 5.008 0.064
O 0.024 1.185 4.355
O 0.024 3.973 4.355
O 1.482 0.991 1.594
O 1.482 4.167 1.594
O 1.482 6.290 3.334
O 1.482 9.182 3.334
O 2.941 1.185 4.355
O 2.941 3.973 4.355
O 2.989 6.342 0.822
O 2.989 9.130 0.822
O 4.447 1.133 1.842
O 4.447 4.024 1.842
O 4.447 6.148 3.582
O 4.447 9.324 3.582
O 5.906 6.342 0.822
O 5.906 9.130 0.822
CELL_PARAMETERS angstrom
5.930 0.000 0.000
0.000 10.315 0.000
0.000 0.000 5.176

~~~~~

Entry P
Below is a geometry-optimized Sr2Nd2MnCuO8 structure, with properties calculated at the PBE with a Hubbard U level.

Geometry as CIF:
```
*/

• Job:
Set down everything further up without additions.

• Worked solution:
(1)
Here is a relaxed structure of Tb2Al9Ir3 from the Materials Project database. Energies are from r2SCAN.

a = 12.975 Å, b = 7.571 Å, c = 9.447 Å
α = 90.00°, β = 90.00°, γ = 90.00°
Space group Cmcm (No. 63)
One atom of each set of equivalent atoms:
Tb1 0.162 0.167 0.250
Al1 0.000 0.130 0.750
Al2 0.000 0.334 0.050
Al3 0.104 0.443 0.750
Al4 0.167 0.169 0.573
Ir1 0.000 0.000 0.000
Ir2 0.172 0.500 0.000

---

(2)
Here is a relaxed structure of Tm2Al9Ir3 from the Materials Project database. Energies are from r2SCAN.

a = 12.922 Å, b = 7.536 Å, c = 9.374 Å
α = 90.00°, β = 90.00°, γ = 90.00°
Space group Cmcm (No. 63)
One atom of each set of equivalent atoms:
Tm1 0.161 0.166 0.250
Al1 0.000 0.130 0.750
Al2 0.000 0.333 0.052
Al3 0.105 0.444 0.750
Al4 0.167 0.168 0.575
Ir1 0.000 0.000 0.000
Ir2 0.172 0.500 0.000

---

no.,electronic total energy (eV per formula unit)
1,-293.65
2,-301.26

~~~~~

No. 1
! PBE+U Li5Co3O8, optimized geometry; values from VASP
! calculated density: 4.0 g cm⁻³
! total magnetic moment: 2.000 μB per formula unit
! volume: 141.0 Å³/cell
! energy relative to the lowest polymorph listed for this composition: 0.055 eV per atom
! energy of formation from the pure elements: -1.679 eV/atom
! MP2020-corrected energy: -97.31 eV/cell
&SYSTEM
  ibrav = 0, nat = 16, ntyp = 3
/
ATOMIC_SPECIES
Li 6.94 Li.upf
Co 58.93 Co.upf
O 16.00 O.upf
ATOMIC_POSITIONS angstrom
Li 0.000 0.000 0.000
Li 1.618 0.000 3.587
Li 0.630 0.000 8.401
Li 7.053 0.000 1.210
Li 6.065 0.000 6.025
Co -1.074 0.000 4.806
Co 4.387 0.000 2.298
Co 3.296 0.000 7.313
O 0.691 0.000 1.841
O -0.327 0.000 6.544
O 3.570 0.000 0.773
O 2.597 0.000 5.518
O 5.086 0.000 4.094
O 4.113 0.000 8.838
O 8.011 0.000 3.067
O 6.992 0.000 7.771
CELL_PARAMETERS angstrom
4.916 -1.492 0.000
4.916 1.492 0.000
-2.149 0.000 9.611

No. 2
! PBE+U Li5Mn3O8, optimized geometry; values from VASP
! calculated density: 3.8 g cm⁻³
! total magnetic moment: 10.000 μB per formula unit
! volume: 142.6 Å³/cell
! energy relative to the lowest polymorph listed for this composition: 0.007 eV per atom
! energy of formation from the pure elements: -2.143 eV/atom
! MP2020-corrected energy: -110.91 eV/cell
&SYSTEM
  ibrav = 0, nat = 16, ntyp = 3
/
ATOMIC_SPECIES
Li 6.94 Li.upf
Mn 54.94 Mn.upf
O 16.00 O.upf
ATOMIC_POSITIONS angstrom
Li 0.000 0.000 0.000
Li 4.122 4.826 1.218
Li 3.305 1.996 1.274
Li 5.006 6.062 3.826
Li 4.189 3.232 3.883
Mn 0.805 1.263 2.550
Mn 0.824 2.766 0.000
Mn 1.628 4.029 2.550
O 2.351 3.741 0.759
O 1.569 1.106 0.752
O 2.344 2.308 3.117
O 3.206 5.067 3.042
O 5.105 2.991 2.058
O 5.967 5.750 1.983
O 6.742 6.952 4.348
O 5.961 4.317 4.342
CELL_PARAMETERS angstrom
5.054 0.000 0.000
1.647 5.532 0.000
1.610 2.526 5.100

No. 3
! PBE+U MgV2O4, optimized geometry; values from VASP
! calculated density: 4.0 g cm⁻³
! total magnetic moment: 4.000 μB per formula unit
! volume: 316.6 Å³/cell
! energy relative to the lowest polymorph listed for this composition: 0.123 eV per atom
! energy of formation from the pure elements: -2.583 eV/atom
! MP2020-corrected energy: -230.57 eV/cell
&SYSTEM
  ibrav = 0, nat = 28, ntyp = 3
/
ATOMIC_SPECIES
Mg 24.30 Mg.upf
V 50.94 V.upf
O 16.00 O.upf
ATOMIC_POSITIONS angstrom
Mg 1.482 2.579 0.048
Mg 1.482 7.736 1.757
Mg 4.447 2.579 3.419
Mg 4.447 7.736 5.128
V 0.000 0.000 2.588
V 0.000 5.157 2.588
V 1.482 5.307 5.112
V 1.482 10.165 5.112
V 2.965 0.000 2.588
V 2.965 5.157 2.588
V 4.447 0.149 0.064
V 4.447 5.008 0.064
O 0.024 1.185 4.355
O 0.024 3.973 4.355
O 1.482 0.991 1.594
O 1.482 4.167 1.594
O 1.482 6.290 3.334
O 1.482 9.182 3.334
O 2.941 1.185 4.355
O 2.941 3.973 4.355
O 2.989 6.342 0.822
O 2.989 9.130 0.822
O 4.447 1.133 1.842
O 4.447 4.024 1.842
O 4.447 6.148 3.582
O 4.447 9.324 3.582
O 5.906 6.342 0.822
O 5.906 9.130 0.822
CELL_PARAMETERS angstrom
5.930 0.000 0.000
0.000 10.315 0.000
0.000 0.000 5.176

~~~~~

Entry P
Below is a geometry-optimized Sr2Nd2MnCuO8 structure, with properties calculated at the PBE with a Hubbard U level.

Geometry as CIF:
```